Friday, August 3, 2007

Put them out of business for they won't put themselves

Some regular people, seemingly normal human beings, are in the business of providing thermisol to drug manufacturers and they want to keep their money coming in. Other regular, normal acting human beings are in the business of providing flouride to water supplies, toothpaste manufacturers and so on, and they want to keep their money coming in. They have to be hearing the buzz about thermisol triggering autism and ADHD. They have to know that flouride is toxic sludge that does nothing to improve your teeth.

We're becoming embittered about business, and that's not a good thing. Let's just resolve to change what we do and put as many inhumane humans out of business as we can.

Tell your doctor that you will not allow your child to be injected with a shot that is "stabalized" by thermisol. Refuse to harm your child. Absolutely refuse. Take your "NO" message beyond your doctor as did the woman whose letter is posted below.

Tell your city water supplier that you don't want to drink toxic waste and then invest in a water filter that removes flouride. Don't buy bottled water like I did, thinking it was a solution. Locate toohpaste that doesn't have flouride, make some demands of your grocery store owner, and put these inhumane humans out of business.

As often as I can, I'll post information about companies that are environmentally friendly, businesses that are family-owned, minority-owned, socially conscious, doing things that help us, operated by people who consider the value to humanity of every dollar they earn. I'll be happy to help them earn their dollar.

Here are some articles about thermisol and flouride.


Flouride: Friend or Foe?
by Warren A. Mitchell, D.D.S.

If fluoride is a poison, why is it being put in ourwater and dental products? Have you ever read the warning label printed on the back of your tube of toothpaste? This is typically what you will find:

WARNING: Keep out of the reach of children under 6 years of age. If you accidentally swallow more than used for brushing, seek professional help or contact a poison control center immediately. Beginning in April, 1997, the Food and Drug Administration (FDA) has required this warning label on all dental care products containing fluoride.

You may be wondering why the FDA put a warning label for fluoride in toothpaste in 1997 when fluoride had been used in toothpaste for many years, as well as having been used in water fluoridation since 1945. What is fluoride, and why -- 52 years later -- is it now considered a poison?

To begin, the dictionary defines fluorine as a pale yellow, highly corrosive, poisonous, gaseous halogen element. Fluoride is a compound of flourine. Fluoride is the most electronegative and most reactive of all the elements.

The definition of sodium fluoride (found in toothpaste, dental care products and fluoridated water) is a colorless crystalline salt used in fluoridation of water, in treatment of tooth decay, and as an insecticide and disinfectant.

If fluoride is a poison, why is it being put in our water and dental products?

To understand, let's first take a look at the history of what we know about fluoride. Fluorine is the thirteenth most abundant element found in the earth's crust. Up until the Industrial Revolution, most of the fluoride in the environment was safely locked up with other elements in rocks, coal and clay. Only small amounts of fluoride were released as a result of volcanic activity, or by the slow leaching of this element into some waters. With the Industrial Revolution came the burning of coal and the production of products such as aluminum, steel, glass, enamel, brick, and fertilizers. Factories began dumping fluoride into rivers and streams; they polluted the air with fluoride gases and particles.

In the 1930s, H. Trendely Dean, D.D.S., Director of Dental Research for the U.S. Public Health Service (USPHS), conducted extensive surveys of cities in Texas, Colorado and Illinois. From these surveys, he found people with brown spots on their teeth, known as mottled enamel. His surveys showed that as fluoride levels in the water increased, so did the damage to teeth. Dean started publishing incomplete data to show that at 1 part per million (ppm), fluoride produced a minimal amount of brown teeth and resulted in the reduction of tooth decay. This condition of brown teeth, or mottled teeth, is now known as dental fluorosis, and happens during tooth formation. In very mild cases with low levels of fluoride, teeth may appear to have white spots or flecks. In higher concentrations, teeth may have white patchy areas of increased porosity. In severe cases of dental fluorosis, fluoride produces pitting, dark brown staining and widespread disfiguring of the enamel tooth structure. Teeth that are in this state of fluorosis are very brittle, easily broken and highly susceptible to cavities.

Warning signs were posted, advising people not to use high-fluoridated water for cooking or drinking, especially for children. Communities began removing fluoride from public water supplies, and court actions were taken against major industrial polluters for damage to livestock and crops.

By the late 1930s, the many lawsuits against industries such as ALCOA (the world's largest aluminum producer) were increasing and becoming a problem. The growing cost of removing fluoride from public water supplies was also problematic.

### Calculated crystals, as found in the file
A plane-wave DFT calculation with PBE-GGA was carried out for a relaxed structure of Rb2AgTe2O6.

Properties
As for the uncorrected formation energy: -1042 meV per atom. As for the density of states at the Fermi level: 0.203 states/eV per atom. As for the crystal system: monoclinic.

a = 6.613 Å, b = 6.613 Å, c = 8.659 Å
α = 126.56°, β = 126.56°, γ = 53.03°
Positions (direct):
1 Rb 0.101 0.101 0.324
2 Rb 0.899 0.899 0.676
3 Ag 0.500 0.500 0.500
4 Te 0.293 0.293 0.879
5 Te 0.707 0.707 0.121
6 O 0.093 0.588 0.255
7 O 0.375 0.375 0.752
8 O 0.412 0.907 0.745
9 O 0.588 0.093 0.255
10 O 0.625 0.625 0.248
11 O 0.907 0.412 0.745


VASP calculation (GGA-PBE) on a relaxed Ca3Ac2Tl2 crystal.

Computed properties:
* Fermi-level density of states: 5.3 states/eV per cell
* symmetry: C2/m, No. 12
* formation energy from the elements: -249 meV per atom

```
Ca3Ac2Tl2
1.0
5.838 0.000 0.000
-2.919 5.034 -0.354
0.000 -2.762 8.889
Ca Tl Ac
3 2 2
Direct
0.644 0.288 0.432

At this time, ALCOA was selling their unwanted waste by-product of sodium fluoride as a rat poison and insecticide. However, ALCOA found they had more waste product than they could sell. They needed another market to rid themselves of the excess burden of this hazardous waste.

About the same time, Dr. Gerald Cox, a biochemist from the University of Pittsburgh, was employed as a member of the Mellon Institute (the Mellons were the owners of ALCOA). Cox's job was to do research and find another way to reduce the excess of ALCOA's sodium fluoride waste.

Cox began working in the laboratory with a number of pregnant and lactating rats. He fed them a select diet of fluoride from 10 to 40 ppm. At the end of this research, Cox wrote, "The present trend toward the removal of fluorine from food and water may need some reversals." There was never any solid scientific research done. Though Cox noted in his 1939 paper (published in the Journal of Dental Research) that rats who received more fluoride had more cavities, this information was ignored. Cox gathered information from his "study" and additional information from a study done earlier by Armstrong and Brekhaus, who had reported higher levels of fluoride in dental enamel of healthy teeth than in teeth with cavities. (In 1963, Armstrong recanted his original findings as incorrect and stated that there was no difference in fluoride content between healthy teeth and teeth with decay.) Cox prepared six summaries of the literature on tooth decay for the Food and Nutritional board of National Research Council, which led to the Council's endorsement of fluoridation.

The major companies who produced the unwanted by-products of fluorides could now dispose of their hazardous waste, and at a profit to boot. But to whom? And how did they convince people that rat poison was good for them?

…To be continued in the next issue of Alaska Wellness.


Subject: Thermisol in vaccinesPosted by Gloria on Mar 15 2006 7:26AM
March 8, 2006

Dr. Andrew vonEschenbach FDA Commissioner

Dear Dr. vonEschenbach:

A study by Geier and Geier published in the March 1, 2006 issue of the Journal of American Physicians and Surgeons documents a decrease in neurodevelopmental disorders in children following removal of thimerosal from American childhood vaccines.


The Alliance for Human Research Protection (AHRP) is requesting information about whether any childhood vaccines still remain available for use in the United States. Our concern relates to the published charge of Robert Kennedy, Jr., that "the government continues to ship vaccines preserved with thimerosal to developing countries -- some of which are now experiencing a sudden explosion in autism rates."


Our questions are three-fold. 1. Has the FDA issued an official recall of the stock of vaccines containing thimerosal as a preservative for use in the United States?
2. If so, does the FDA have a list of vaccine lot numbers to which pediatricians and general medical practitioners can refer to check their current supply of vaccines on hand?
3. Is there any truth to the Kennedy claim that our government is shipping vaccines preserved with thimerosal to developing countries?

Thank you for your kind and expeditious response.

Vera Hassner Sharav President, Alliance for Human Research Protection http://

Thursday, August 2, 2007

Mother of both

As a mother of both white sons and black sons, I can tell you, there's a difference in your worries. If you're a white, with European ancestry, ask yourself if you have any idea what the experiences, thoughts, feelings, viewpoints are of the majority of people of the earth who are not white. We don't like to think of ourselves as ignorant, but if we're isolated within the mentality of our race, that's what we are. Racism is one of the things that we have a hope of changing. Here below is an article on something that exists as an outcome of racism - America's horriffic prison industry. This is an article that I received today.

July 27, 2007
by Andrew Bosworth
(posted on the

"I asked a man in prison once how he happened to be there and he said he had stolen a pair of shoes. I told him if he had stolen a railroad he would be a United States Senator" -Mother Jones

Consider this disturbing fact: the United States now has the world's highest incarceration rate outside of North Korea. Out of 1,000 people, more Americans are behind bars than anywhere in the world except in Kim Jong-Il's Neo-Stalinist state. The US has a higher incarceration rate than China , Russia, Iran, Zimbabwe and Burma - countries American politicians often berate for their human rights violations.

Well over two million Americans are behind bars. Let us agree that violent criminals and sex offenders should be in jail, but most Americans are not aware that over one million people spend year after year in prison for non-violent and petty offenses: small-time drug dealing, street hustling, prostitution, bouncing checks and even writing graffiti. Texas, with its boot-in-your-butt criminal justice system, is now attempting to incarcerate people who get drunk at bars - even if they are not disturbing the peace and intend to take a taxi home.

Somewhere along the line, the Lone Star State becomes the Lock-Down State: Rodney Hulin, a 16 year old in Texas, was caught setting a dumpster on fire and sentenced to 8 years in an adult prison. Despite pleading to be removed to another section, prison officials found no reason to extract him from the general population (despite Rodney's official pleas). He was then repeatedly raped and infected with the HIV virus that causes AIDS. He ended the nightmare by hanging himself in his cell.

Even "progressive" states like California are eager to lock up the hapless and the marginal. Billy Ochoa, for example, is serving 326 years in a "SUPERMAX" (super maximum security) prison for welfare fraud. Billy is an addict, an inept burglar, and not-very-good trafficker of food stamps. Under California's "three strikes and your out" law, he is locked up in a tiny cell for 23 hours a day.

Arguably, continuously lowering the bar for what it takes to be jailed threatens the liberty of all Americans. And having one million non-violent offenders in prison (often for absurdly long periods) makes it that much easier, in the near future, for the return of debtors' prisons and dissident detention centers. This approach to locking up everyone possible undermines both the liberal emphasis on personal liberty and the conservative emphasis on small government.
At this pace, the US is in danger of witnessing the development of a kind of "gulag" to jail the entire lumpenproletariat, the flotsam of society, a population that cuts across racial lines to include the men and women who never seem to break free of the tentacle-like criminal justice system. Women, actually, are now the fastest growing prison population, and many of them are young mothers with babies.

Of course, we'll never know how many prisoners are even guilty. They have been locked up through mass "plea bargaining" agreements. Originally conceived a the exception to the rule, plea bargaining has become a conveyor belt for prisons, running against the grain of the Fifth Amendment's right to a fair trial and, more specifically, to the US Constitution, Article III, Section 2: "The trial of all crimes, except in cases of impeachment, shall be by jury."

While there might be a time and a place for plea bargaining, it has become a scam in which prisons are basically guaranteed a minimum flow of prisoners. Here's the deal: Plead guilty to a lesser crime (to something you might not have done) and go to jail for 3 years - or risk a trial and the chance of doing 15 years. It's a no-brainer.

The Founding Fathers would be rolling in their graves even faster than they already are if they knew that prisons are now lucrative corporations. These "McJails" receive money from government on a per-prisoner, per-day basis. No doubt, had the framers of the Constitution imagined that future Americans could descend to such depths they would have banned the commercialization of prisons outright.

Not surprisingly, the executives of these for-profit prisons sponsor "tough-on-crime" legislation and even line the pockets of politicians who back "mandatory sentencing" laws. For-profit prisons even get to write new mandatory sentencing laws to guarantee the raw material (the rabble of society) for an emerging prison-industrial complex.

In a Great Leap Backward, American politicians have also repealed two federal laws (the Hawes Cooper Act and the Ashurst-Sumner Act) that virtually outlawed prison labor, making it a felony to move prison-made goods across state boundaries. Stamping state license plates for cars was generally acceptable, but these Acts tried to end the leasing out of prisoners to private companies - they tried to eliminate prison-plantations and "factories with fences."

In the 1970s, a Supreme Court Justice, Warren Burger, proselytized for more leeway as to what kinds of "projects" prisoners could work on. Before too long, Congress amended the laws, and by 1990 it was permissible for prisoners to produce products entering the stream of interstate commerce. Many of the largest corporations in America have taken advantage of prison labor in what might be called "Operation Sweatshop."

Amazingly, on there is a separate section for "investors."
"Corrections Corporation of America is the nation's largest owner and operator of privatized correctional and detention facilities and one of the largest prison operators in the United States, behind only the federal government and three states" (Corrections Corporation of America).

Thus, the "tough on crime" propaganda masks a profit motive. Naturally, no politician can say that "my campaign was paid for by corporate lock-downs" or "I help run prison sweatshops." Representatives in Congress - mostly the "Big Government" Republicans but also many "Nanny-State" Democrats - are becoming the new goons in an emerging for-profit police state.

Wednesday, August 1, 2007

Water - will we soon be thirsty?

I love water - love to drink it, love to soak in it, love to look at it - love it. For several years I've been buying bottled water because I want to avoid flouride - BUT - it seems I've been duped. Using bottled water may be the worst thing a water-lover can do. I'm posting three brief notes about water from a website called Man, Woman, Canoe - water privitization, water purifiers. I'm also going to change habits and get a water filter that filters out flouride. Another informative website is WHRnet Issue - Women and Water Privatization.


Who's Water Is It?

US: Nestle Waters NA wants to pump groundwater from two more sites in Michigan, one of which is thought to be near the headwaters of a state-protected trout stream. They're looking for additional sources of spring water for the Ice Mountain brand. The company has been bottling water since 2002 at one facility using about 80 million gallons per year from underground springs. At least some locals believe this would cause a serious negative effect on the this most valuable resource. Nestle is already in one lawsuit over bottling right against the claim that their current plant is diminishing nearby wetlands and a stream. When you buy bottled water you are contributing to this threat to earth's waterways. Get a filter for your tap and your own bottle instead: Save water and save a lot of money.

India: A leading American consumer protection group described privatization as a "seductive option" and commended India for turning it down despite pressure from the World Bank. The World Bank frequently ties financing help to demands to privatize. The problem is that corporations charge whoever can pay for the water. Many privatization schemes have failed to deliver and have made things worse by raising rates and cutting off access. "New Delhi's problems are daunting. Rejecting water privatization, and strengthening democratic institutions to better manage the people's water, is a critical first step," said a representative of Corporate Accountability International.

UK: Climate change, increasing desertification due to soil erosion, and growing populations increase the appeal of investment in water, delegates at an investment conference reported. Growing populations and urbanization in developing countries puts a premium on investments in water infrastructure and industrial processing of water. Some parts of the world are consuming up to 30 times the replenishment rate of the water table. Friends of Water believes they are right about the issue. But the more privitization becomes a reality, the more health and social problems we'll have. Water is a human right. Save Water. We can't let it become controlled by private interests.

What's going on...

It's not hard to lose sight of yourself, or which way to go, or what to do, especially if you have lost the feminine perspective. We're in a really crazy world - going mad and down - not from nature but from misbehavior - that's what Mom would say. We all feel the imbalance. I know you must want to talk about what's going on, what's happening with your relationships, whether your kids going to survive and thrive or take a wrong turn, whether you're messing up or growing up. I'm in my sixties and still growing up.